Could you set down only the lines below with the word "group" in them?

- - -
VASP calculation (PBE) on a relaxed TbCo4B crystal.

Lattice parameters (Å, degrees): 5.0014 5.0014 6.8289 90.00 90.00 120.00
Atoms (fractional coordinates):
Tb: 0.0000 0.0000 0.0000
Tb: 0.0000 0.0000 0.5000
Co: 0.0000 0.5000 0.2120
Co: 0.0000 0.5000 0.7880
Co: 0.3333 0.6667 0.5000
Co: 0.5000 0.0000 0.2120
Co: 0.5000 0.0000 0.7880
Co: 0.5000 0.5000 0.2120
Co: 0.5000 0.5000 0.7880
Co: 0.6667 0.3333 0.5000
B: 0.3333 0.6667 0.0000
B: 0.6667 0.3333 0.0000

* volume: 12.3 A^3/atom
* space group: P6/mmm
* raw total energy: -6.9198 eV/atom
* formation enthalpy at 0 K: -295 meV per atom

---

VASP calculation (PBE) on a relaxed Th2CoB10 crystal.

Lattice parameters (Å, degrees): 5.6176 11.2194 4.1793 90.00 90.00 90.00
Atoms (fractional coordinates):
Th: 0.1982 0.1345 0.0000
Th: 0.3018 0.6345 0.0000
Th: 0.6982 0.3655 0.0000
Th: 0.8018 0.8655 0.0000
Co: 0.0000 0.5000 0.5000
Co: 0.5000 0.0000 0.5000
B: 0.0347 0.3128 0.5000
B: 0.1271 0.9600 0.5000
B: 0.1527 0.8029 0.5000
B: 0.2008 0.3865 0.2001
B: 0.2008 0.3865 0.7999
B: 0.2992 0.8865 0.2001
B: 0.2992 0.8865 0.7999
B: 0.3473 0.3029 0.5000
B: 0.3729 0.4600 0.5000
B: 0.4653 0.8128 0.5000
B: 0.5347 0.1872 0.5000
B: 0.6271 0.5400 0.5000
B: 0.6527 0.6971 0.5000
B: 0.7008 0.1135 0.2001
B: 0.7008 0.1135 0.7999
B: 0.7992 0.6135 0.2001
B: 0.7992 0.6135 0.7999
B: 0.8473 0.1971 0.5000
B: 0.8729 0.0400 0.5000
B: 0.9653 0.6872 0.5000

* volume: 10.1 A^3/atom
* space group: Pbam
* raw total energy: -7.4458 eV/atom
* formation enthalpy at 0 K: -620 meV per atom

---

VASP calculation (PBE) on a relaxed Ti2Co21B6 crystal.

Lattice parameters (Å, degrees): 7.3997 7.3997 7.3997 60.00 60.00 60.00
Atoms (fractional coordinates):
Ti: 0.2500 0.2500 0.2500
Ti: 0.7500 0.7500 0.7500
Co: 0.0000 0.0000 0.0000
Co: 0.0000 0.0000 0.3382
Co: 0.0000 0.0000 0.6618
Co: 0.0000 0.3382 0.0000
Co: 0.0000 0.3382 0.6618
Co: 0.0000 0.6618 0.0000
Co: 0.0000 0.6618 0.3382
Co: 0.1463 0.6179 0.6179
Co: 0.3382 0.0000 0.0000
Co: 0.3382 0.0000 0.6618
Co: 0.3382 0.6618 0.0000
Co: 0.3821 0.3821 0.3821
Co: 0.3821 0.3821 0.8537
Co: 0.3821 0.8537 0.3821
Co: 0.6179 0.1463 0.6179
Co: 0.6179 0.6179 0.1463
Co: 0.6179 0.6179 0.6179
Co: 0.6618 0.0000 0.0000
Co: 0.6618 0.0000 0.3382
Co: 0.6618 0.3382 0.0000
Co: 0.8537 0.3821 0.3821
B: 0.2752 0.2752 0.7248
B: 0.2752 0.7248 0.2752
B: 0.2752 0.7248 0.7248
B: 0.7248 0.2752 0.2752
B: 0.7248 0.2752 0.7248
B: 0.7248 0.7248 0.2752

* volume: 9.9 A^3/atom
* space group: Fm-3m
* raw total energy: -7.3694 eV/atom
* formation enthalpy at 0 K: -296 meV per atom

---

VASP calculation (PBE) on a relaxed Tm4CoB13 crystal.

Lattice parameters (Å, degrees): 7.2532 7.2532 6.8126 90.00 90.00 90.00
Atoms (fractional coordinates):
Tm: 0.1816 0.3151 0.0000
Tm: 0.1849 0.3184 0.5000
Tm: 0.3151 0.8184 0.0000
Tm: 0.3184 0.8151 0.5000
Tm: 0.6816 0.1849 0.5000
Tm: 0.6849 0.1816 0.0000
Tm: 0.8151 0.6816 0.5000
Tm: 0.8184 0.6849 0.0000
Co: 0.0000 0.0000 0.5000
Co: 0.5000 0.5000 0.0000
B: 0.0000 0.0000 0.0000
B: 0.0390 0.8294 0.2459
B: 0.0390 0.8294 0.7541
B: 0.0902 0.5902 0.2500
B: 0.0902 0.5902 0.7500
B: 0.1706 0.0390 0.2459
B: 0.1706 0.0390 0.7541
B: 0.3294 0.5390 0.2541
B: 0.3294 0.5390 0.7459
B: 0.4098 0.0902 0.2500
B: 0.4098 0.0902 0.7500
B: 0.4610 0.3294 0.2541
B: 0.4610 0.3294 0.7459
B: 0.5000 0.5000 0.5000
B: 0.5390 0.6706 0.2541
B: 0.5390 0.6706 0.7459
B: 0.5902 0.9098 0.2500
B: 0.5902 0.9098 0.7500
B: 0.6706 0.4610 0.2541
B: 0.6706 0.4610 0.7459
B: 0.8294 0.9610 0.2459
B: 0.8294 0.9610 0.7541
B: 0.9098 0.4098 0.2500
B: 0.9098 0.4098 0.7500
B: 0.9610 0.1706 0.2459
B: 0.9610 0.1706 0.7541

* volume: 10.0 A^3/atom
* space group: P4/mnc
* raw total energy: -6.7306 eV/atom
* formation enthalpy at 0 K: -517 meV per atom

---

VASP calculation (PBE) on a relaxed TmCo3B2 crystal.

Lattice parameters (Å, degrees): 4.9568 4.9568 3.0273 90.00 90.00 120.00
Atoms (fractional coordinates):
Tm: 0.0000 0.0000 0.0000
Co: 0.0000 0.5000 0.5000
Co: 0.5000 0.0000 0.5000
Co: 0.5000 0.5000 0.5000
B: 0.3333 0.6667 0.0000
- - -

* space group: P6/mmm
* space group: Pbam
* space group: Fm-3m
* space group: P4/mnc